The reader should retype only the last part of the listing underneath, starting with the line that has "diffraction maxima,".

........
Diffraction record for NbSeF9. The X-ray powder pattern is calculated, not measured: it uses a DFT-relaxed cell (GGA-PBE, the Materials Project) and Cu Kα.
Lines closer than 0.1° are merged.

Largest 12 diffraction maxima, in order of rising 2θ, 10 to 90 degrees two-theta:
index	d/Å	2θ/deg	intensity
2 0 2	4.555	19.49	99
2 1 1	4.176	21.27	61
2 -1 3	3.979	22.34	100
3 0 0	3.837	23.18	52
1 2 2	3.757	23.68	49
0 2 4	3.124	28.57	45
4 0 1	2.828	31.64	23
3 2 4	2.154	41.94	90
3 0 6	2.086	43.39	14
1 4 6	1.766	51.76	15
1 7 0	1.525	60.75	21
5 -3 8	1.522	60.87	26

Cell and atoms:
a b c (Å): 13.2917 13.2917 14.9020
angles (deg): 90.00 90.00 120.00
Space group R3 (No. 146, hexagonal axes)
Asymmetric unit:
Nb  0.0000  0.0000  0.0000 x3
Nb  0.0790  0.7049  0.3099 x9
Se  0.0000  0.0000  0.4841 x3
Se  0.0347  0.2710  0.8148 x9
F  0.9997  0.2884  0.0758 x9
F  0.0116  0.1147  0.4204 x9
F  0.0154  0.1252  0.9166 x9
F  0.0146  0.4036  0.2134 x9
F  0.0590  0.5580  0.9056 x9
F  0.0694  0.5766  0.3863 x9
F  0.0725  0.6980  0.5696 x9
F  0.0790  0.6896  0.0544 x9
F  0.1276  0.1109  0.0675 x9
F  0.1474  0.3698  0.8821 x9
F  0.1564  0.1381  0.5712 x9
F  0.1908  0.4052  0.3879 x9
........

Largest 12 diffraction maxima, in order of rising 2θ, 10 to 90 degrees two-theta:
index	d/Å	2θ/deg	intensity
2 0 2	4.555	19.49	99
2 1 1	4.176	21.27	61
2 -1 3	3.979	22.34	100
3 0 0	3.837	23.18	52
1 2 2	3.757	23.68	49
0 2 4	3.124	28.57	45
4 0 1	2.828	31.64	23
3 2 4	2.154	41.94	90
3 0 6	2.086	43.39	14
1 4 6	1.766	51.76	15
1 7 0	1.525	60.75	21
5 -3 8	1.522	60.87	26

Cell and atoms:
a b c (Å): 13.2917 13.2917 14.9020
angles (deg): 90.00 90.00 120.00
Space group R3 (No. 146, hexagonal axes)
Asymmetric unit:
Nb  0.0000  0.0000  0.0000 x3
Nb  0.0790  0.7049  0.3099 x9
Se  0.0000  0.0000  0.4841 x3
Se  0.0347  0.2710  0.8148 x9
F  0.9997  0.2884  0.0758 x9
F  0.0116  0.1147  0.4204 x9
F  0.0154  0.1252  0.9166 x9
F  0.0146  0.4036  0.2134 x9
F  0.0590  0.5580  0.9056 x9
F  0.0694  0.5766  0.3863 x9
F  0.0725  0.6980  0.5696 x9
F  0.0790  0.6896  0.0544 x9
F  0.1276  0.1109  0.0675 x9
F  0.1474  0.3698  0.8821 x9
F  0.1564  0.1381  0.5712 x9
F  0.1908  0.4052  0.3879 x9